What to do.
It remains to retype the part of the listing further below that starts with the line with "0.9887" and stops after the one with "0.191".

Listing.
- - -
The following is a calculated X-ray powder pattern of Li7CoOF7. It was derived from a DFT-relaxed cell (PBE+U, Alexandria), using CuKα.
Neutral-atom scattering factors, no anomalous dispersion.

Cell and atoms:
```
data_Li7CoOF7
_symmetry_space_group_name_H-M 'P m m 2'
_symmetry_Int_Tables_number 25
_symmetry_space_group_name_Hall 'P 2 -2'
_cell_length_a 2.9287
_cell_length_b 8.3413
_cell_length_c 5.8518
_cell_angle_alpha 90.00
_cell_angle_beta 90.00
_cell_angle_gamma 90.00
loop_
_atom_site_label
_atom_site_type_symbol
_atom_site_fract_x
_atom_site_fract_y
_atom_site_fract_z
Li1 Li 0.0000 0.0000 0.0000
Li2 Li 0.0000 0.0000 0.4916
Li3 Li 0.0000 0.5000 0.4740
Li4 Li 0.5000 0.2379 0.7392
Li5 Li 0.5000 0.2535 0.2552
Co1 Co 0.0000 0.5000 0.0174
O1 O 0.5000 0.5000 0.2389
F1 F 0.0000 0.2393 0.9887
F2 F 0.0000 0.2448 0.5005
F3 F 0.5000 0.0000 0.2472
F4 F 0.5000 0.0000 0.7433
F5 F 0.5000 0.5000 0.7454
```

Main lines, low angle first (2θ = 5–70°):
hkl  2θ/deg  Rel. int.
0 1 0  10.61  69
0 0 1  15.14  40
0 1 1  18.52  53
0 4 0  43.39  51
1 0 2  43.73  100
1 4 2  63.31  53

----------

LaSmCu2Si2: computed X-ray diffraction stick pattern (Cu Kα (weighted mean of Kα1 and Kα2)), based on a GGA-PBE-relaxed structure.
Lines closer than 0.1° are merged.

Top 6 peaks for 10° ≤ 2θ ≤ 80°, by intensity:
(1 0 2), 33.2°, intensity 100.0
(1 1 0), 42.8°, intensity 38.9
(1 0 0), 24.3°, intensity 26.3
(0 2 2), 55.2°, intensity 23.0
(1 1 4), 64.2°, intensity 21.6
(2 1 2), 72.3°, intensity 20.3

Cell and atoms:
a b c (Å): 4.2272 4.2272 7.9754
angles (deg): 90.00 90.00 120.00
Positions (direct):
La 0.0000 0.0000 0.0000
Sm 0.0000 0.0000 0.5000
Cu 0.3333 0.6667 0.2642
Cu 0.6667 0.3333 0.7358
Si 0.3333 0.6667 0.7405
Si 0.6667 0.3333 0.2595

----------

Entry 1:
The following is a theoretical powder diffractogram of ThNb2Si4. It was derived from a GGA-PBE-relaxed structure, using CuKα.

Largest 10 diffraction maxima, by intensity, 2θ = 15–90°:
2θ (°)  I (rel.)  (hkl)
35.48  100.0  1 1 2
34.66  59.2  0 1 5
28.25  56.4  1 0 3
24.32  31.9  0 1 1
42.86  31.6  1 0 7
53.67  26.9  1 1 8
29.90  25.1  0 0 6
61.37  21.3  2 1 5
19.81  19.0  0 0 4
39.65  18.8  1 1 4

Crystal structure
Cell: 3.721 3.739 17.929 Å, 90.00 90.00 90.00°
Fractional positions:
Th  0.000  0.000  0.000
Th  0.500  0.500  0.500
Nb  0.000  0.500  0.309
Nb  0.000  0.500  0.691
Nb  0.500  0.000  0.191
Nb  0.500  0.000  0.809
Si  0.000  0.000  0.420
Si  0.000  0.000  0.580
Si  0.000  0.500  0.163
Si  0.000  0.500  0.837
Si  0.500  0.000  0.337
Si  0.500  0.000  0.663
Si  0.500  0.500  0.080
Si  0.500  0.500  0.920

=====

Entry 2:
The following is a theoretical powder diffractogram of Ti4Nb2Si. It was derived from a GGA-PBE-relaxed structure, using CuKα.

Largest 10 diffraction maxima, by intensity, 2θ = 15–90°:
2θ (°)  I (rel.)  (hkl)
38.95  100.0  2 0 0
40.20  94.2  1 0 5
27.27  77.5  1 1 0
39.35  68.4  1 1 4
57.21  63.6  2 1 5
20.41  41.1  1 0 1
56.26  32.1  2 2 0
30.69  27.2  1 1 2
70.81  22.0  3 1 4
84.44  20.1  3 2 5

Crystal structure
Cell: 4.625 4.625 12.827 Å, 90.00 90.00 90.00°
Fractional positions:
Ti  0.000  0.000  0.190
Ti  0.000  0.000  0.810
Ti  0.000  0.500  0.000
Ti  0.000  0.500  0.500
Ti  0.500  0.000  0.000
Ti  0.500  0.000  0.500
Ti  0.500  0.500  0.310
Ti  0.500  0.500  0.690
Nb  0.000  0.000  0.387
Nb  0.000  0.000  0.613
Nb  0.500  0.500  0.113
Nb  0.500  0.500  0.887
Si  0.000  0.000  0.000
Si  0.500  0.500  0.500

----------

Structure and calculated powder XRD pattern of Tb3RuO7 (a crystal structure in the Materials Project, relaxed with GGA-PBE; Cu Kα (weighted mean of Kα1 and Kα2)).
Peak positions follow from Bragg's law for the DFT cell and can differ from measured ones.

Principal peaks in the range 10 to 80 degrees two-theta, in order of rising 2θ:
| 2θ (°) | I/Imax |
| --- | --- |
| 27.13 | 12 |
| 29.39 | 100 |
| 29.67 | 87 |
| 32.07 | 12 |
| 33.95 | 21 |
| 34.37 | 43 |
| 46.37 | 11 |
| 49.07 | 63 |
| 54.41 | 10 |
| 58.37 | 26 |
| 58.83 | 18 |
| 79.46 | 14 |
- - -

Solution.
F1 F 0.0000 0.2393 0.9887
F2 F 0.0000 0.2448 0.5005
F3 F 0.5000 0.0000 0.2472
F4 F 0.5000 0.0000 0.7433
F5 F 0.5000 0.5000 0.7454
```

Main lines, low angle first (2θ = 5–70°):
hkl  2θ/deg  Rel. int.
0 1 0  10.61  69
0 0 1  15.14  40
0 1 1  18.52  53
0 4 0  43.39  51
1 0 2  43.73  100
1 4 2  63.31  53

----------

LaSmCu2Si2: computed X-ray diffraction stick pattern (Cu Kα (weighted mean of Kα1 and Kα2)), based on a GGA-PBE-relaxed structure.
Lines closer than 0.1° are merged.

Top 6 peaks for 10° ≤ 2θ ≤ 80°, by intensity:
(1 0 2), 33.2°, intensity 100.0
(1 1 0), 42.8°, intensity 38.9
(1 0 0), 24.3°, intensity 26.3
(0 2 2), 55.2°, intensity 23.0
(1 1 4), 64.2°, intensity 21.6
(2 1 2), 72.3°, intensity 20.3

Cell and atoms:
a b c (Å): 4.2272 4.2272 7.9754
angles (deg): 90.00 90.00 120.00
Positions (direct):
La 0.0000 0.0000 0.0000
Sm 0.0000 0.0000 0.5000
Cu 0.3333 0.6667 0.2642
Cu 0.6667 0.3333 0.7358
Si 0.3333 0.6667 0.7405
Si 0.6667 0.3333 0.2595

----------

Entry 1:
The following is a theoretical powder diffractogram of ThNb2Si4. It was derived from a GGA-PBE-relaxed structure, using CuKα.

Largest 10 diffraction maxima, by intensity, 2θ = 15–90°:
2θ (°)  I (rel.)  (hkl)
35.48  100.0  1 1 2
34.66  59.2  0 1 5
28.25  56.4  1 0 3
24.32  31.9  0 1 1
42.86  31.6  1 0 7
53.67  26.9  1 1 8
29.90  25.1  0 0 6
61.37  21.3  2 1 5
19.81  19.0  0 0 4
39.65  18.8  1 1 4

Crystal structure
Cell: 3.721 3.739 17.929 Å, 90.00 90.00 90.00°
Fractional positions:
Th  0.000  0.000  0.000
Th  0.500  0.500  0.500
Nb  0.000  0.500  0.309
Nb  0.000  0.500  0.691
Nb  0.500  0.000  0.191